Making Products Healthier for Consumers: Asthma & Allergy Friendly Edition
Making Products Healthier for Consumers: Asthma & Allergy Friendly Edition
CEO Alli just returned from the Asthma & Allergy Friendly Association Client Council. Check out her post on the experience below!
**Here the article breaks off for quantum chemistry results**
____________
Molecular formula: C2H2OS3
Method: DFT, the ωB97M-V functional and the def2-TZVPD basis

XYZ file:
```
8
Properties=species:S:1:pos:R:3:lowdin_charge:R:1
C 0.70 0.51 0.00 -1.16
C -0.55 -0.50 0.06 -0.84
H 1.58 -1.61 0.01 -0.14
H -1.94 1.46 -0.01 -0.18
O -0.37 -1.67 0.03 -0.03
S 2.21 -0.45 -0.05 0.80
S 0.59 2.09 0.01 0.73
S -2.21 0.16 -0.05 0.82
```

* max |F|: 2.701 eV Å⁻¹
* SMILES: O=C(S)C(=S)S
* HOMO energy: -9.4 eV
* LUMO: -1.319 eV

~~~~~

{"formula": "C9H21ClN3NiO3", "method": "wB97M-V/def2-TZVPD", "elements": ["Ni", "Cl", "C", "C", "O", "N", "C", "H", "H", "H", "H", "H", "H", "H", "C", "C", "O", "N", "C", "H", "H", "H", "H", "H", "H", "H", "C", "C", "O", "N", "C", "H", "H", "H", "H", "H", "H", "H"], "positions_angstrom": [[-0.421077, 0.830789, 27.206162], [-2.060349, -0.306068, 28.553519], [-1.403367, -1.525445, 32.601565], [-2.888694, -1.764812, 32.434139], [-3.490937, -2.405562, 33.277329], [-3.471806, -1.236528, 31.331452], [-4.899894, -1.132412, 31.159908], [-1.213605, -0.836780, 33.423124], [-0.866164, -1.145900, 31.727420], [-0.927282, -2.474914, 32.848494], [-2.898265, -0.866366, 30.586116], [-5.451313, -1.563669, 31.990545], [-5.222577, -1.701549, 30.278408], [-5.180929, -0.088962, 31.014472], [-4.646435, -2.527610, 27.413825], [-4.315053, -3.693946, 28.273775], [-5.053803, -4.707346, 28.159555], [-3.263180, -3.634426, 29.040969], [-2.866566, -4.634303, 30.025468], [-4.126271, -2.547087, 26.452928], [-4.360187, -1.556497, 27.828518], [-5.711406, -2.463584, 27.187607], [-2.767241, -2.751937, 29.061479], [-3.599515, -5.403208, 30.236855], [-2.563740, -4.047821, 30.896538], [-1.919141, -5.110953, 29.758259], [-1.004931, 2.861431, 30.347592], [0.342539, 2.539625, 29.779721], [0.408499, 1.957478, 28.695313], [1.418356, 2.887198, 30.492569], [2.788406, 2.795622, 30.007876], [-0.985761, 3.405602, 31.294354], [-1.535855, 1.924514, 30.507806], [-1.548991, 3.511990, 29.664499], [1.214525, 3.436540, 31.308811], [3.100576, 3.770701, 29.635438], [2.895226, 2.100050, 29.180225], [3.420713, 2.440107, 30.817167]], "forces_ev_per_angstrom": [[-0.5, 0.0, 1.5], [0.4, 0.0, -0.8], [0.6, -0.2, -0.4], [0.4, -0.2, 0.5], [-0.2, 0.2, -0.2], [0.0, 0.0, -0.1], [-0.3, -0.3, -0.5], [-0.2, 0.0, 0.1], [-0.4, 0.1, -0.1], [-0.1, 0.0, 0.2], [0.1, 0.3, 0.3], [0.3, 0.1, 0.3], [0.0, 0.1, 0.0], [-0.1, -0.1, 0.1], [-0.9, 1.1, -1.2], [1.8, 1.2, 0.3], [-0.5, -0.6, 0.0], [-0.9, -0.8, -0.1], [1.5, 0.3, 0.5], [0.1, -0.6, 0.1], [0.2, -0.4, 0.6], [0.0, -0.3, 0.1], [0.1, 0.4, -0.2], [-0.3, 0.3, 0.0], [-0.6, -0.3, 0.3], [-0.3, -0.1, -0.5], [-0.1, 0.4, 0.6], [-0.5, 0.1, 0.3], [0.7, -0.4, -1.1], [-0.4, -0.2, -0.6], [0.1, 0.1, 0.0], [0.3, -0.1, 0.0], [-0.2, 0.0, -0.2], [-0.1, -0.3, -0.2], [0.3, 0.0, 0.1], [0.2, 0.0, 0.2], [-0.4, -0.1, 0.1], [0.1, 0.2, 0.0]], "lumo_energy_ev": [-3.13, -7.82], "de_lowest_kj_mol": 0.0, "s_squared": 2.01, "total_charge": 1, "spin_multiplicity": 3, "orbital_gap_ha": [0.326, 0.128]}

---
____________
**The article goes on**
It’s National Lung Month! It’s fitting that I attended the Asthma & Allergy Friendly Association Client Council this week. If you remember correctly, in 2017 we became the world’s first performance knit to be Certified as Asthma & Allergy Friendly.
I had been studying this certification and mark for quite some time. I saw it first on a Stanley Steamer van driving through Louisville and then again while shopping for furnace filters at Home Depot. I knew that if we wanted to continue putting our customer’s health and wellness alongside of their sleep quality, we needed to apply for this extensive testing. If this “seal of approval” was what the big guys like 3M, Dyson, Mercedes, etc. were after, so was I.
There are 60 million people currently suffering from asthma and allergies. And wouldn’t you know it, the bedroom is one of the biggest problem areas for people with this condition. Dust mites are often hard to detect, as is pet dander. And let’s be honest, there are a lot of people who let Sparky or Poppy sneak into their bed at night and snuggle up.
Products like comforters, duvets, and pillows are naturally the common culprit simply because they are washed less frequently, have fillers that can trap allergens, and are not replaced annually. But, lots of families don’t know that your bed sheets and pillow cases also need to be considered when building a healthy bedroom. Buildup from dead skin cells, bodily fluids, and dyes found in some sheeting can have harmful chemicals that come into contact with your skin and even let off fumes -- unless they’ve been washed numerous times.
It was with my commitment to provide functional bedding and my growing knowledge of this necessary health accommodation that we sought out the AAFA and began our 10-week testing in Ireland. And in case you hadn’t figured it out yet: we passed! Wicked Sheets is the world’s first performance knit to be certified as asthma & allergy friendly.
We know our products are better suited for people suffering from allergies and asthma. It was time to activate! This was a term that we used frequently on at the Client Council and Summit. “Let’s activate this mark and get the word out there about how even more amazing our sheets are and how we can help more people than just those who want to sleep cool and dry (we’ve known for 10 years that we do that 😉).
I’d just like to mention a few stand out moments from the event and then, of course, a key takeaway that’s important for bedding companies, like Wicked Sheets, but also for consumer products companies in general.
- Bobby Jones – YOU are the new COOL. (And so are our sheets, ahem!) Your presentation was nails and I can’t wait to read Good is the New Cool.
- LG & True Value – thank you for being great examples of (large) corporate leadership who care about your customers and your team understanding the value of taking care of your people (employees & customers).
- Carolyn Forte, of Good Housekeeping and the teams at AAFA and AS – way to go on showing the world that certifying agencies can be friends and even work together to promote health & wellness and be examples of how marks build trust with their loyal followers.
Just like the bio-psycho-social approach in Psychology (treat the WHOLE patient medicinally, emotionally, and socially) which is proven to have the best treatment outcome, in the world of asthma & allergies you must treat the whole HOUSE. I’m talking from paint to flooring, filters to humidifiers, comforters to pillows, stuffed animals to (now) SHEETS! Being Asthma & Allergy Friendly is crucial.
This is a fantastic mark that not everyone can earn because of their stringent guidelines and rigorous testing, but if you have a product that might help one of the 60 million people struggling to catch their breath, take the next step…get Certified!
Asthma & Allergy Friendly Client Counsel Attendees

Wicked Sheets is a better sleep company, dedicated to providing products and information to deal with night sweats and hot flashes. Check out the rest of the site and our products to learn more.